Honeymooners A Cautionary Tale
Page 42
Look at this. All these pages talking about myself. Terrible. Want to talk about you, where you are, your letter, our energy. Just reread your letter yet again and am all smiles. Feel very bad about Alice Ann. Know what both of you are going through, all the real pain. Feel guilty that I can be so happy in spite of that. But I am. Deliriously happy. Wildly happy. Everything but completely happy. But with faith. But more questions keep creeping out of the forefront of my head – like dear old Minerva, armed in full dyke array, but a lady nonetheless. So, you are getting your life in order. How, before I knew you, was it in disorder?? What really do you wish to change? I mean fundamentally. Really want to talk to you about all of this – so much I feel I should understand. Maybe these are only words, but I see you in a way of life, or, rather, I see in you a way of life, not a change of life. I’m confused, as usual, and worrying about big things in little ways, and still feeling incredibly merry and loving you so much. Should be all right if I can get this foolish grin off my face. I’ve been grinning like mad for weeks. Even people in the office have noticed. And I have not said anything. That’s why I spend so much time writing to you. I want to stand on top of my roof and just shout to the whole town, “Hey, I’m in love. What do you think of that?”
Record 1
The following is a simulated powder diffractogram of KAuBr3. It was derived from DFT lattice parameters and positions (GGA-PBE), using Cu Kα (λ = 1.5418 Å).

Crystal structure
abc: 5.413 5.413 5.413
angles: 90.00 90.00 90.00
Space group Pm-3m (No. 221)
Asymmetric unit:
K (0.000, 0.000, 0.000) x1
Au (0.500, 0.500, 0.500) x1
Br (0.000, 0.500, 0.500) x3

Principal peaks in the range 15° ≤ 2θ ≤ 90°, most intense first:
(1 0 0), 2θ = 16.37°, I 100
(2 0 0), 2θ = 33.10°, I 77
(2 1 0), 2θ = 37.14°, I 55
(2 2 0), 2θ = 47.51°, I 55
(1 1 0), 2θ = 23.24°, I 39
(3 0 0), 2θ = 50.58°, I 29
(4 2 0), 2θ = 79.12°, I 25
(4 2 2), 2θ = 88.48°, I 19
(2 2 2), 2θ = 59.12°, I 19
(2 1 1), 2θ = 40.83°, I 18

Record 2
The following is a simulated powder diffractogram of LiHS. It was derived from DFT lattice parameters and positions (GGA-PBE), using Cu Kα (λ = 1.5418 Å).

Crystal structure
abc: 12.331 3.957 7.916
angles: 90.00 90.00 90.00
Space group Pcca (No. 54)
Asymmetric unit:
Li (0.125, 0.000, 0.003) x8
H (0.000, 0.355, 0.250) x4
H (0.250, 0.500, 0.324) x4
S (0.000, 0.013, 0.250) x4
S (0.250, 0.500, 0.494) x4

Principal peaks in the range 15° ≤ 2θ ≤ 90°, most intense first:
(2 1 0), 2θ = 26.77°, I 100
(4 1 2), 2θ = 43.68°, I 28
(2 2 2), 2θ = 53.89°, I 21
(0 1 2), 2θ = 31.98°, I 19
(4 0 0), 2θ = 28.96°, I 16
(6 1 0), 2θ = 50.01°, I 14
(0 2 0), 2θ = 45.86°, I 13
(6 1 4), 2θ = 70.18°, I 9
(4 1 6), 2θ = 83.34°, I 8
(4 0 4), 2θ = 55.15°, I 7

Record 3
The following is a simulated powder diffractogram of SrICl. It was derived from DFT lattice parameters and positions (GGA-PBE), using Cu Kα (λ = 1.5418 Å).

Crystal structure
abc: 8.448 4.539 10.342
angles: 90.00 90.00 90.00
Space group Pnma (No. 62)
Asymmetric unit:
Sr (0.186, 0.250, 0.130) x4
I (0.002, 0.250, 0.676) x4
Cl (0.153, 0.750, 0.950) x4

Principal peaks in the range 15° ≤ 2θ ≤ 90°, most intense first:
(1 1 2), 2θ = 28.21°, I 100
(2 1 1), 2θ = 30.17°, I 100
(3 0 1), 2θ = 32.96°, I 32
(1 0 3), 2θ = 27.95°, I 28
(0 2 0), 2θ = 39.72°, I 28
(3 0 3), 2θ = 41.40°, I 22
(1 0 2), 2θ = 20.13°, I 21
(0 1 3), 2θ = 32.62°, I 18
(1 1 4), 2θ = 41.60°, I 18
(1 1 3), 2θ = 34.35°, I 17

Record 4
The following is a simulated powder diffractogram of TeMoWSeS2. It was derived from DFT lattice parameters and positions (GGA-PBE), using Cu Kα (λ = 1.5418 Å).

Crystal structure
abc: 3.3083 3.3083 38.3117
angles: 90.00 90.00 120.00
Space group P3m1 (No. 156)
Asymmetric unit:
Te (0.0000, 0.0000, 0.0000) x1
Te (0.0000, 0.0000, 0.1005) x1
Mo (0.0000, 0.0000, 0.8577) x1
Mo (0.3333, 0.6667, 0.6718) x1
W (0.0000, 0.0000, 0.4839) x1
W (0.3333, 0.6667, 0.0502) x1
Se (0.3333, 0.6667, 0.8138) x1
Se (0.3333, 0.6667, 0.9015) x1
S (0.0000, 0.0000, 0.6319) x1
S (0.0000, 0.0000, 0.7117) x1
S (0.3333, 0.6667, 0.4439) x1
S (0.3333, 0.6667, 0.5240) x1

Principal peaks in the range 15° ≤ 2θ ≤ 90°, most intense first:
(1 0 8), 2θ = 36.55°, I 100
(0 1 13), 2θ = 44.08°, I 58
(1 0 0), 2θ = 31.23°, I 47
(1 1 0), 2θ = 55.56°, I 33
• The crystal structures stop here:
On the medium serious side, won’t make any plans about your coming up here until you think you really can do it. But I’ve gone off the pill this month because of typical side effects like weight gain, water retention and all of that. Seems weird writing about things like that. Will resume, anyway, before you get here so that we don’t have to consider any hassles of that nature. Went back to see my doctor last Thursday. He’s keeping me on some stomach relaxer for another three weeks and advised me to remain off the booze. (Naturally I didn’t tell him that I had already violated that promise. With a good bit more enthusiasm after reading that drinking and smoking do not age your skin!!! ) At that time I asked him about my new approaches to birth contol and explained that I had problems with the I.U.D. and with pills. He smiled, shrugged his shoulders, and said he was just glad he was not a gynecologist. I agreed with him. He patted my head, and therefore I’ve come up with the above approach, subject to your approval, of course. Don’t know why, exactly, but writing all of this embarrasses me. Hope I haven’t done the same with you. Shades of 19th century modesty, I guess, in spite of my ‘liberated’ assertions.
Hey, love, this letter is too long. You are going to fall asleep in the middle. Wish you could fall asleep my arms. Would like to hold your head again. Love you.
Dearest L –
Just finished your long warm wonderful letter. Jesus. So good to hear from you. And your photo! My, my. All the other good things, and she’s lovely too. You are, you know. And sexy, and bright, and simpatico, and everything else. Love you, miss you. Thinking of you so strongly right now you must be getting vibes.
Damn it, but I miss you! Has been off and on again madness now for weeks. Barely able to get anything done. Had an unfortunate, bad evening on Friday. Saturday I asked Alice Ann to come to my apartment and try to get caught up on her schoolwork, paper correcting, her own Stanford class, etc. Good enough day Sat. & even Sunday there. I did a lot of reading, & we also did a lot of talking. Sunday night we had some drinks and got into a horrible verbal scene. Monday things were pretty serene, lots more talking, no real hostility. Shit hit the fan again Monday night. She missed school again on Tuesday. I told her on Tuesday that I would not have any contact with you for three months, until after the first of the year. At that time, if I want it, we’ll have a peaceful-amicable separation or divorce. Thing is, though, it is a promise I cannot and do not intend to keep, may the gods forgive me. I simply cannot. I’m too far gone in love with you, too far embarked on a different course. I hope I’m not sounding or acting in too dishonorable a fashion. But I know what I want and what will eventually be best for everyone involved down here. Does this sound too selfish or deceptive or whatever? God, I hope not. But things have to settle down here, and right now, for health’s sake, careers’ sake, everything. I would have about been ready to say anything, except that I would breakup with you entirely – which was not asked! I’ll keep my apartment; of course, but will begin to pull together on some of the problems and such in Menlo Park. Maybe this will get us through the holiday and such and into a new year, and that’s it. All of this in strictest confidence of course, little fish – please don’t mention a word to Buffalo Bill or Kathy or anyone! I don’t want any of us to look villainous or victimized. Don’t know why I’m telling you all this & sure as hell don’t want you to feel uptight, bummed out, or disappointed in any way in me. But I guess I do know why and that is because I love you so much and want to keep things straight between us, and always let you know what’s happening and what’s on my mind riht now. God, it would all be so simple if we were all bastards, ego-maniacs, and able to walk into and out of people’s lives with impunity or scarcely a backward glance, ala Norman Mailer, since you mentioned going to see him talk when he was in Missoula. He is a good example, kids and wives scattered all over the landscape. Speaking of Mailer, saw in the paper this morning that he spoke to a crowd of 2000 at Berkeley yesterday (I got there late and just slipped in and stood in the back.) It turned into a free-for-all. He was heckled by women libs, Gay libs and about a dozen other groups he has somehow offended over the years. He was in a “fuck you” shouting match on the stage with many of the audience. Someone threw a burning brassier on the podium, a number of people were arrested. Wonderful time was had by all parties. By the way, paper said he was paid $2500 for the lecture! Did they actually come up with that kind of money n Montana? Or close to it? And, by the bye, has Buffalo Bill done anything about getting me a reading up there? Wonder what kind of money he could get me? See if you can worm some info along these lines out of him. Be sure to catch him when he’s reasonably sober.
Lindsey, little fish, let me say you’re never really out of my mind. I love you, miss you desperately, can’t wait to see you. But of course I’m horribly broke down here, old car’s transmission is failing fast, the boy’s dog is pregnant again, etc. etc. Anyway, put pressure on Bill. I’ll ty to wait until this weekend to call you. Feel a little guilty about that, continuing to lay those collect calls on you. Must have been about a $70 call by itself last Weds. night. You’re right, we’ve got to get together soon just to save money. One of these days we’ll pool our meager resources, huh?
I love you
Dearest R –
Late home from full day at work, 7:30 no less, but had one last house to show, which I am certain was a waste of time. And waiting for me was your letter, about, in fact the longest missive and the most direct I have ever had from you. We must have been thinking the same things at the same time – just as I tried, rather timidly I admit, to say I felt you were holding things back, maybe until you had time to deal with them yourself, maybe to avoid disturbing me, you suddenly come through. And I do appreciate that so much. I do promise to say nothing about us to anyone up here, certainly not Bill or Kathy. And don’t feel you are wrong in your decision to keep in touch. I guess because I made that decision too, but that’s not the reason I agree with you. No, it really comes down to the belief that one person cannot monitor another’s behavior, nor regulate it – no matter how that person feels about the other. And further, to request that person to change his actions cannot ever be misconstrued to mean his thinking, his feelings will change too.
But you are right. We can never walk away from things, especially lives we have helped create. Think you may also be right to agree to her request, if only verbally. How well I know what she must be feeling – both wising to be the rational liberal, yet feeling torn up inside. Her greatest war right now is with herself – how she wants to feel, how she really feels. Anything to mitigate that – or bring focus to the real concerns – and I still believe that at the center of the matter I have no position. I am peripheral to that – is ri
ght. We would never have met as we did, loved as we do, had all things been right with your relationship with Alice Ann. How’s that for reverse-positive Calvinism? I know it’s redundant to caution you, after all this, but be ever so careful to cover our communication. And don’t worry about the collect calls – they are absolutely necessary. First, as a matter of discretion, the fewer traces of me down there, the better. Second, I would go positively mad if I couldn’t hear from you. It’s so important to me. And the closest we can possibly be for what seems like such a long time.
Anyway, sitting here on my green couch, loving you so much and it seems to carry over to everything, even the jerks at work. When you love, I guess you love everything – it’s joyous, really – there’s so much inside and it doesn’t seem to exhaust itself. Even feeling sad is just another way of being able to feel. Such a long way from the dead person I was a while back. So much I owe to you. Tenderness for you. My hand would find yours, smooth our forehead a bit. And I did cry when I read your letter. Because I am so happy you brought me into myself, into acceptance of self, showed me that people can love each other in real ways – in turn, I’m afraid I have helped agitate the most tormented time you have ever known. What doubts, pangs of conscience I have, all stem from that, my love. You have made me happy. I have helped make you unhappy. What I want more than anything else in this world is the assurance that you are living the life you desire. There is little now I feel necessary for myself. I’m happier than I can ever remember being. Only being with you could make me happier. Knowing that I love you and that you love me – just overwhelming joy. I do believe in you and the goodness of our love. You are really a beautiful man, Ralph. Hate to see you pulled in conflicting ways, yet know you wouldn’t be where you are were it not for those very things that I cherish in you.
Sweetheart –
On to another page, and a few lines before the mailman comes to the office. No phone all from you over the weekend. Afraid to imagine that you are in the midst of another bad time. Still helpless to help. Can only think of you and hope that you know that. Want not to be a part of your talks with Alice An, if that’s possible. As I have said, believe that only confuses the real talk you and she must have for the next months, even a day at a time. I know you love her, too – maybe quite differently from the way you feel about me, that’s not important. What does count is that you find ways to understand what that love means for both of you. Perhaps you know that now, perhaps not. But those things, or that issue, must be dealt with for the sake of you, especially, the also for Alice Ann, finally for me. I’m here when you need me; I’ll wait until you tell me other.
The last installment of this letter was Friday night. It’s now Monday. The quiet weekend I had planned did not remain quiet for long. Worked at the Flame during the day, Saturday, homecoming weekend. Ran into a lot of people I hadn’t seen for years. Got off work and went to a party on the other side of town. Was pleased because these were all people who were not connected with the group I have been running around with all summer and fall. Rather amusing experience, up to a point. These were all the young Missoula wealthies, and their lives are every bit as tattered as everyone else’s. Got into some fun exchanges and frivolous arguments about keeping Montana “pure,” helping the handicapped and abortion reform, etc. Party all moved en masse to a supper club for more food and wine (don’t know who paid for my dinner, but no one let me pay … distinct advantages to being a lady at times), then on to the Elks for more drinks then on to a steam bath and finally home. I was the only single person in the entire group which made it rather amusing, but I felt comfortable about it.
Got a call from Kathy the next morning. Buffalo Bill had managed to lose her car the night before, so we went looking for it. Found it in an alley near the East Gate and the new Edgewater Inn. Bill had apparently traversed back and forth between the two bars Saturday night, getting kicked out of one, then the other. Kathy got a call from the East Gate saying they were going to call the cops if she didn’t get him out of there (we can’t imagine what he was doing there .. no one gets kicked out of the East Gate). Anyway, she managed to get ahold of Roger G. and the two of them rescued Bill and they all went drinking downtown. At that point the car was decidedly missing.
After looking for the car, Kathy and I decided to have a quiet drink at Ron’s and then split. Crazy scene ensued. Ran into two guys there whom we both know. Sat and talked with them at the bar for a while. The one guy had had the party at his house the night before and is an old high school friend. Both guys are married, so there was nothing going on, but then began a series of mistakes. We moved to a table so we could all talk. Suddenly John’s wife (John is my high school friend) stormed in and slammed a tennis racket and bag in the middle of our table and then swept out again. Kathy and I felt pretty bad about this as we were certainly not in the midst of any tete a tete or anything like that. So we sat around trying to decide how John could make amends, still half laughing at the absurdity. Then in stomps our Buffalo Bill. A double-hitter. By this time I was moderately drunk and everything was looking incredibly silly. We all sat around for a while longer while Bill huffed more or less amiably. Then John and I split to grab some food and hopefully sober up. Decided the situation could get out of hand as it often does around Bull and didn’t want to be a part of it. Bill and Kathy moved to another bar and continued to drink for a while longer. Then they went home and Bill really laid into Kathy. He decided the two of us had moteled it with the guys in the afternoon, and had rendezvoused later at the bar. He stormed about me too, threated to tell you, and in general was one angry man. Can’t say that I blame him in some ways. I guess married women really don’t go into bars and sit down with married men and drink afternoons away. But at the same time it was so completely innocent and it is difficult for me to understand why men and women can’t be friends and talk to each other when they run into each other. Kathy came into the office earlier this morning to relay all this and we laughed again, but decided we just weren’t too cool in spite of our innocence. I guess I will never understand all these values.
Two nights of drinking is quite enough, for me anyway, so now I move into the sober week. Still a bit hung over as you may surmise from my scattered sentences. But thinking of you constantly. Have relayed all the events of the weekend because perhaps you may feel the same way Bill does. If you do disapprove of my going to parties, etc., I will not mind curbing all of that in the least. It simply never occurred to me that I had done something objectionable. Of course, Bill feels that when men and women are together they just have to be fucking. But aside from all of that, you might simply prefer to know that I am at home. And if you feel that way, please tell me. I love you and want my life here to the very least of your worries. Won’t promise to quit drinking entirely, but do intend to live a pretty straight life here and have not dated at all, don’t desire to or intend to.
Almost time for the mail. Love you so very much. Rest easy, loved one.
Dearest Ralph –
Sitting at my typewriter cat in lap coffee and phone within easy left-hand reach. Just coming up from a supper bout of depression myself. Can’t explain, really, what caused all of it, worry about you and me an us, a major factor. Anything I want to say now sounds so trite. I fell I know what you are going through; without question, I know something of what Alice Ann feels. I sense your depression and it frightens me. From this distance it is so difficult to help you. Bill is right when he urges you to stay off the booze. If you are down, it only increases that. Benn there as I guess you have, too. What has happened to you stirs memories in me that are too painful to talk about. But that damn thing can spiral. And suddenly you’re not I control of your lie, you’re not in control of anything.
Wish I had happy things to write about from here. But it has been gloomy here too. Halcyon days long gone. Think you wrote of them. Days at their worst now. Got to balance out soon.
At any rate, it is a quiet Sunday. The picture on the wall in front of me holds my grandmother among its august ladies, the Deutsche Damen of Denver. It is tilted. Maybe I will adjust it sometime today. If I can remember to do so. And if I can muster the energy. I seem to be dead tired most of the time – so fucking frustrating.